Monday, November 26, 2012

More Cracks in the Norquist Dam

It appeared that Republican Senator Saxby Chambliss was the first to turn apostate about the Grover Norquist no-tax pledge that he himself, Saxby Chambliss, had previously signed. Then yesterday Republican Senator Lindsay Graham publicly waffled on a Sunday morning Bloviators' Show. (So did Republican Rep. Peter King, on Meet the Press, and John McCain, on Fox News Sunday.)

Actually, none of those guys were the first to crack. Republican Senator Tom Coburn, way back in July, wrote an op-ed published in the NYTimes that complained about Norquist’s “tortured definition of tax purity” while concluding that the Norquist pledge is now irrelevant.

More amazing ... the sudden defection of Arizona's newest Republican Senator Jeff Flake, than which there is no more conservative individual in Congress (Flake voted with Virginia Foxx to deny federal relief in the aftermath of Hurricane Katrina). During a candidate debate this year, Flake actually denied having ever signed the Norquist pledge, though he most certainly did. “The only pledge I’d sign [now] is a pledge to sign no more pledges,” Flake said, which was his way of saying, "Don't count on me, Grover."

We knew Norquist's grip on Republican gonads was really doomed when we heard Bill Kristol on Fox News Sunday say on November 11th:
"It won't kill the country if we raise taxes a little bit on millionaires. It really won't, I don't think. I don't really understand why Republicans don't take Obama's offer. Really? The Republican Party is going to fall on its sword to defend a bunch of millionaires, half of whom voted Democratic and half of whom live in Hollywood and are hostile?"
Under these circumstances, what's a Tea Partier to do? More to the point, what will Grover Norquist order them to do?

## Misplaced data records
- - -
C37H40BF4OPdS4Sb as an isolated structure, computed with ωB97M-V with the def2-TZVPD basis set.

E_LUMO (spin up / spin down) = 0.267 / -2.335 eV
2S+1 = 3
Expectation value of S² = 2.011
Total charge = 0
Calculated total energy = -105973.526 eV

Geometry as XYZ:
```
89
Properties=species:S:1:pos:R:3:forces:R:3
Sb 1.29394 0.99603 1.21639 -0.155 -0.342 -0.104
Pd 0.82518 -0.82702 -0.61931 0.712 -0.010 -0.208
S 1.60280 -2.77211 0.58497 0.050 0.037 0.120
S -1.34890 -4.34250 -1.15233 -0.035 0.152 -0.071
S -0.87410 -5.15275 2.38456 0.079 -0.017 0.053
S -5.01147 0.71089 -7.01036 0.101 0.014 -0.090
F 0.46423 1.91879 -1.68908 -0.176 -0.019 0.045
F 1.81364 0.27752 -2.54441 -0.071 -0.372 0.119
F 1.63074 2.27953 -3.65147 -0.105 -0.017 0.062
F 2.73806 2.15490 -1.63434 0.097 0.025 0.204
O -4.29250 3.21801 -6.48059 0.064 -0.088 0.101
C 3.97707 -0.44475 1.66181 -0.095 0.051 -0.120
C 1.18037 5.84705 1.14429 -0.042 0.070 -0.011
C 4.13456 -0.37063 0.17033 0.008 -0.016 -0.230
C -5.80653 2.98790 -8.30440 -0.023 -0.031 0.042
C 3.95680 3.28216 1.31387 0.075 -0.101 0.072
C 2.86244 0.08861 2.32071 0.150 -0.079 0.287
C -0.72404 -3.35328 2.13268 0.030 0.119 -0.103
C -0.96548 -1.09188 -1.34595 -0.463 0.189 -0.202
C -1.67561 -0.76950 -2.28385 -0.083 -0.015 0.032
C 3.65637 -0.82439 4.41959 0.033 0.012 -0.071
C 0.74307 -2.93320 2.16918 -0.084 -0.068 0.094
C -1.38408 0.06221 2.20014 -0.005 -0.084 -0.150
C 4.93356 -1.12065 2.41325 0.043 -0.065 -0.031
C 0.42091 -4.33310 -1.49672 0.151 -0.041 -0.021
C 1.34974 -4.34522 -0.28830 -0.144 -0.143 0.088
C 0.04224 5.06836 1.02466 0.067 -0.096 0.012
C -2.50582 -0.07228 3.00420 -0.006 -0.018 -0.064
C -2.71750 0.88929 -5.43644 -0.021 0.020 -0.099
C -4.93575 2.48449 -7.17672 -0.093 0.150 -0.112
C -0.36045 1.54662 3.80870 0.024 -0.012 -0.003
C -0.30464 0.85484 2.58966 -0.207 0.018 0.224
C -1.96221 0.52218 -4.33846 0.046 0.059 0.038
C -2.47146 -0.38113 -3.40383 -0.137 -0.143 0.114
C -1.49254 1.39343 4.60563 -0.019 -0.050 -0.008
C 0.16932 3.68749 1.03044 -0.109 0.122 -0.021
C -4.51735 -0.51640 -4.66287 0.008 0.007 0.046
C -3.75804 -0.89788 -3.57331 0.082 0.034 -0.065
C -1.57373 -5.90270 -0.26015 0.018 -0.156 0.133
C 0.72178 2.46596 4.31296 0.068 0.117 -0.041
C 1.41949 3.08894 1.14637 0.077 0.257 -0.065
C 2.70261 -0.13176 3.68832 0.006 0.015 0.119
C -2.55631 0.59476 4.21631 0.028 0.028 0.033
C 2.42323 5.24642 1.24754 0.093 -0.012 -0.020
C 4.78575 -1.30878 3.77720 -0.054 0.012 0.050
C 2.57862 3.86235 1.23424 -0.153 0.121 0.066
C -3.99893 0.37448 -5.60086 -0.104 -0.142 0.157
C -2.08662 -5.68970 1.16212 -0.195 -0.002 -0.095
B 1.65236 1.69495 -2.40420 0.253 0.264 -0.187
H 0.91424 2.27790 5.37044 -0.012 0.031 0.013
H -5.26733 3.77617 -8.82589 -0.027 0.015 -0.009
H 0.85883 -1.94305 2.61593 -0.041 -0.016 -0.055
H -1.17752 -3.08084 1.17954 -0.018 -0.004 0.056
H 5.17486 -0.51597 -0.11952 0.000 0.033 -0.021
H 4.69182 4.07298 1.45323 0.021 -0.008 0.010
H -3.33366 -0.68562 2.67178 -0.007 -0.002 0.022
H -2.93484 -5.00220 1.15791 0.035 0.014 0.031
- - -


  1. Anonymous10:39 PM

    The problem is that this tax on 'millionaires' will also be applied down to the lower to middle income people.

    And your so-called 'millionaires' own many of the small businesses.

  2. Have no fear, GOPers will NEVER agree to raise taxes. The only things they are offering, at least in public, is closing loopholes, which is all Romney would talk about through the (endless) campaign. Obama won? Ho hum, they don't care. Grover still Rules. The only hope is to fix the Senate filibuster rules so that the nation actually has to SEE them in the Senate defending to the Bush tax rates on the rich.

  3. Anonymous11:26 AM

    "Have no fear, GOPers will NEVER agree to raise taxes"

    I sure hope they do not raise taxes. That would do no good. Cutting spending would. Not just not spending more. Cutting spending.

  4. Basic economics: government spending is part of the economy. Government agencies don't manufacture their own paper or make their own vehicles (police cars, for instance). Government spending goes into the private sector, which provides goods and services for the government. If government spending is cut, the economy contracts. Jobs are lost (both public AND private). A *lot* of private businesses depend on some government revenue.

  5. Anonymous4:54 PM

    True, and on government waste. They are owned by liberals getting paybacks.

  6. Dem122:16 PM

    So there aren't ANY conservative businesses that sell things to government agencies? You are dreaming.

  7. Dem123:50 PM

# What comes next are data records, not part of the entry
********
Molecular formula: C4H13NOS
Method: DFT, ωB97M-V/def2-TZVPD

Each line ends with the natural charge from an NBO analysis.
Cartesian coordinates (Å):
C1 -1.055 1.056 0.644  -0.422
C2 -1.245 -0.433 0.926  -0.586
S1 0.078 -1.069 2.000  -0.032
C3 0.243 1.458 -0.091  -0.224
N1 0.763 0.344 -0.896  -0.665
C4 2.102 0.592 -1.392  -0.412
H1 -1.102 1.642 1.561  0.212
H2 -1.928 1.519 0.137  0.226
H3 -2.158 -0.572 1.518  0.226
H4 -1.460 -0.914 -0.025  0.264
H5 0.311 0.574 3.056  0.125
H6 1.103 1.878 0.503  0.168
H7 0.026 2.330 -0.744  0.197
H8 0.738 -0.415 -0.225  0.376
H9 2.797 0.663 -0.558  0.171
H10 2.423 -0.191 -2.082  0.206
H11 2.238 1.544 -1.874  0.199
H12 -0.967 -1.833 -2.644  0.462
H13 -0.521 -0.394 -2.148  0.495
O1 -1.162 -0.896 -2.701  -0.987

Forces on the atoms, in the same order (eV/Å):
-0.133 1.392 0.015
-1.115 1.212 1.059
0.635 2.782 1.702
0.716 0.878 -0.775
-1.043 0.673 -0.210
0.422 -0.544 0.564
0.286 -0.308 0.496
0.385 -0.886 -0.345
0.071 0.208 -0.284
0.791 -0.689 0.001
-0.547 -3.374 -2.234
-0.920 -0.606 0.437
-0.087 -0.580 0.042
0.716 -0.361 -0.354
0.421 -0.298 0.257
-0.044 0.049 0.124
-0.618 0.444 -0.514
0.242 0.066 0.129
0.090 -0.424 -0.109
-0.268 0.366 0.000

## Properties
Frontier orbital gap: 8.11 eV
Electronic energy: -688.2770 a.u.
Relative energy (zero: lowest compared OMol25 entry of this formula, charge and spin): 293.2 kJ/mol
HOMO level: -0.3337 hartree



Molecular formula: C4H13NOS
Method: DFT, ωB97M-V/def2-TZVPD

Each line ends with the natural charge from an NBO analysis.
Cartesian coordinates (Å):
C1 -1.241 -1.369 -0.975  -0.212
C2 0.170 -0.714 -1.071  -0.436
C3 0.071 0.543 -1.976  -0.629
S1 -0.062 2.123 -1.148  0.858
C4 -0.187 1.966 0.655  -0.841
N1 -1.109 -2.057 0.288  -0.886
H1 -1.923 -0.543 -0.788  0.186
H2 -1.340 -2.036 -1.813  0.203
H3 0.475 -0.600 -0.098  0.242
H4 0.912 -1.371 -1.504  0.238
H5 0.861 0.623 -2.814  0.312
H6 -0.889 0.537 -2.663  0.306
H7 0.915 2.154 1.038  0.296
H8 -0.408 0.992 1.167  0.294
H9 -0.804 2.719 1.077  0.281
H10 -1.994 -2.202 0.910  0.407
H11 -0.435 -2.778 0.177  0.377
H12 3.035 0.962 3.466  0.477
H13 1.577 0.852 2.984  0.442
O1 2.377 0.199 3.089  -0.916

Forces on the atoms, in the same order (eV/Å):
2.033 0.529 1.922
-1.368 0.349 -3.594
-0.191 -0.423 -1.320
-0.196 -0.005 0.485
2.924 -1.607 0.880
-2.771 0.229 1.844
-0.615 -0.285 -0.812
-1.002 0.123 -0.635
0.822 1.110 2.233
0.039 -0.334 -0.345
-0.742 0.276 1.503
1.329 -0.018 1.351
-1.820 -0.020 -0.903
-0.175 0.473 -1.263
-0.606 0.951 -0.114
2.483 -0.291 -2.025
-0.131 -1.088 0.751
-1.856 -3.102 -1.216
1.828 -2.195 0.321
0.015 5.325 0.940

## Properties
Frontier orbital gap (spin up / spin down): 9.20 / 4.53 eV
Electronic energy: -687.9940 a.u.
Relative energy (zero: lowest compared OMol25 entry of this formula, charge and spin): 230.7 kJ/mol
⟨S²⟩: 0.753
2S+1: 2
Charge: +1
HOMO level (spin up / spin down): -0.4612 / -0.4611 hartree



Molecular formula: C4H13NOS2
Method: DFT, ωB97M-V/def2-TZVPD
********

    "Cutting spending" sounds so easy doesn't it? And yet we never hear any specific proposals.

  8. Anonymous6:59 PM

    That is because you did not listen.

  9. bettywhite4:14 PM

    Didn't listen to who? Republicans NEVER give specifics when they want to cut spending.

  10. Anonymous8:09 PM

    Start with Ryan.
